What is the Action? ❋

Sweet Dreams Are Made of This 2020, Session 01

Zoë Elizabeth Urand
4 min readSep 22, 2020

Our first session began with a discussion based on reflections from the last two years of studies and what we consider to be a contribution, as we head towards our thesis semester. The following questions helped to shape our reflections and discussions.

What has made an impact on you during your studies here at ZHdK? Does not necessarily have to be related to studies.

While my time here at ZHdK has definitely had an impact on me, my thoughts immediately jumped to my personal life when asked this question. I officially moved from the city of Vancouver to a small Swiss village in the spring of 2017. During the past few years I have spent time (and $$$) learning German, while simultaneously trying to navigate the many dialects of Schwiizerdüütsch. I have also quickly come to learn that running late for an appointment and vacuuming on Sundays are both equally frowned upon. The Kanton of Zürich believes that people from Aargau can’t drive — and vice versa. FCZ and GCZ are soccer teams, not graffiti tags. En guete is the Swiss equivalent to bon appetit. Oh, and rösti is pretty damn delicious.

Moving to Switzerland has without a doubt been new and exciting, but it has also been unfamiliar and lonely. Of course it’s a challenge to create a new home in a country with four national languages—none of which you speak—and a culture quite different from your own. But what is truly lonely about moving abroad is the weird limbo state you become stuck in, where your new home doesn’t feel like home yet, and your old home doesn’t feel like home anymore. This, and the people you leave over 8300 km and 9 hours behind, make it really difficult.

On a less personal note, I thought it might also be useful to begin writing down all the bits of information and various ideas I have come into contact with, which have really stuck with me during my time at ZHdK:

  1. Phatic communication (Ritual Machines I & II: Making Technology at Home)
  2. Undesigning design (Undesigning Technology: Considering the Negation of Design by Design)
  3. The notion or idea of rebooting technology, education, etc.
  4. Leverage points (Leverage Points: Places to Intervene in a System)
  5. Cultural probes (Gaver et al.)

What impact have you personally had during your studies? Does not necessarily have to be related to studies.

I was briefly speaking with Sophie about this, and she mentioned how the impact we have on others and our environment can sometimes be difficult to see—I agree. As students of interaction design at ZHdK we contribute daily to our community. We share discussions and laughs, beer, and our knowledge and individual skill sets with each other. These small actions and exchanges have a long term impact on the overall wellbeing of the other students and our community as a whole, but we might not notice this impact unless we are explicitly told by the someone who has been affected.

When I reflect on my move to Switzerland and how I have had to become comfortable being an outsider in many ways, I realize this has made me increasingly aware of others in a similar or more difficult situation. I recognize I am privileged in many ways, and perhaps haven’t had the same experience as others when moving to a new country, but I try to treat others with respect, openness, and patience.

What is a contribution and how do we as designers contribute?

During my studies I have come to realize that designers are often viewed or understood as problem solvers. This is problematic, however, because the word solution suggests a kind of finality or coming to an end. Yet, the world is always changing and evolving; it is never static. For this reason, we as designers need to begin thinking in terms of contribution. How can we contribute to addressing the many issues we face today? How can these contributions be forward thinking, but also make space for future tweaks and improvements?

We discussed briefly how we as designers can contribute:

  1. The first step in contribution is to raise awareness. But what follows?
  2. Maybe we make interventions/improvements to an existing system.
  3. Or consider a political approach.
  4. We could make the invisible, visible.
  5. Take action.
  6. Even build a tool.

Then comes the question, what does a tool look like?

  1. It could be a participatory design approach.
  2. Or an app.
  3. Installations and interventions are also possible.
  4. Something on the Internet.
  5. An array of visualization techniques.
  6. New methods too.

/*
# 1
# CrTe4

A PBEsol-optimized structure of CrTe4 (SCAN, the Alexandria database).

Properties
- Energy: -2.454 Ry/atom
- Energy relative to the elements, uncorrected: 0.090 eV per atom
- SG: Im-3m (229)
- Magnetization: 3.98 μB per formula unit
- Calculated volume: 141.7 Å³/cell
- Crystal system: cubic

Unit cell a=5.689 b=5.689 c=5.689 alpha=109.47 beta=109.47 gamma=109.47
Fractional coordinates of all 5 atoms:
Cr1 0.000 0.000 0.000
Te1 0.000 0.000 0.500
Te2 0.000 0.500 0.000
Te3 0.500 0.000 0.000
Te4 0.500 0.500 0.500

# 2
# TlCr2Cd

A PBEsol-optimized structure of TlCr2Cd (SCAN, the Alexandria database).

Properties
- Energy: -2.502 Ry/atom
- SG: P2/m (10)
- Magnetization: 2.32 μB per formula unit
- Calculated volume: 69.9 Å³/cell
- Crystal system: monoclinic
- Calculated formation energy: 0.843 eV per atom

Unit cell a=2.907 b=4.280 c=5.620 alpha=90.00 beta=90.11 gamma=90.00
Fractional coordinates of all 4 atoms:
Tl1 0.000 0.000 0.000
Cr1 0.499 0.500 0.326
Cr2 0.501 0.500 0.674
Cd1 0.000 0.000 0.500

# 3
# ZnCo2Br

A PBEsol-optimized structure of ZnCo2Br (SCAN, the Alexandria database).

Properties
- Energy: -1.206 Ry/atom
- Energy relative to the elements, uncorrected: 0.486 eV per atom
- SG: R-3m (166)
- Magnetization: 2.96 μB per formula unit
- Calculated volume: 54.2 Å³/cell
- Excess energy over the best structure of this formula in the dataset: 0.95 eV per formula unit
- Crystal system: trigonal

Unit cell a=7.617 b=7.617 c=7.617 alpha=21.98 beta=21.98 gamma=21.98
Fractional coordinates of all 4 atoms:
Zn1 0.000 0.000 0.000
Co1 0.250 0.250 0.250
Co2 0.750 0.750 0.750
Br1 0.500 0.500 0.500

# 4
# Zn3AsC

A PBEsol-optimized structure of Zn3AsC (SCAN, the Alexandria database).

Properties
- Energy: -0.922 Ry/atom
- SG: Pm-3m (221)
- Magnetization: 2.17 μB per formula unit
- Calculated volume: 105.2 Å³/cell
- Crystal system: cubic
- Calculated formation energy: 1.623 eV per atom

Unit cell a=4.721 b=4.721 c=4.721 alpha=90.00 beta=90.00 gamma=90.00
Fractional coordinates of all 5 atoms:
Zn1 0.000 0.000 0.500
Zn2 0.000 0.500 0.000
Zn3 0.500 0.000 0.000
As1 0.000 0.000 0.000
C1 0.500 0.500 0.500

# 5
# TaMnTc2

A PBEsol-optimized structure of TaMnTc2 (SCAN, the Alexandria database).

Properties
- Energy: -2.843 Ry/atom
- SG: Cmmm (65)
- Magnetization: 0.00 μB per formula unit
- Calculated volume: 56.2 Å³/cell
- Crystal system: orthorhombic
- Calculated formation energy: 0.059 eV per atom

Unit cell a=2.693 b=2.693 c=7.753 alpha=90.00 beta=90.00 gamma=91.07
Fractional coordinates of all 4 atoms:
Ta1 0.000 0.000 0.000
Mn1 0.000 0.000 0.500
Tc1 0.500 0.500 0.286
Tc2 0.500 0.500 0.714

# 6
# TaZn2Se

A PBEsol-optimized structure of TaZn2Se (SCAN, the Alexandria database).

Properties
- Energy: -2.072 Ry/atom
- Energy relative to the elements, uncorrected: 0.232 eV per atom
- SG: Pmmm (47)
- Magnetization: 0.00 μB per formula unit
- Calculated volume: 63.8 Å³/cell
- Crystal system: orthorhombic
*/

We also watched excerpts from How to Survive a Plague (David France, 2012) and 120 BPM (Robin Campillo, 2013). What struck me the most were the layers of contribution in the latter film. There were people who had volunteered their time to organize and hold the ACT meetings, and others who were there to participate, either by speaking out or snapping their fingers in agreement. This film demonstrated that contribution comes in different shapes and sizes, and that the loudest contribution does not necessarily have the greatest impact.

